Friday, September 30, 2011

Ted C Blind Item

Uh oh, Parrish Maguire is in hot water.

And we're not talking about a warm Jacuzzi—ya know, the place Parr likes to hook up with older, more experienced men while other partygoers watch (how devilishly naughty is that?). No, we're talking trouble.

Parrish has a beard problem. As in, he needs one, pronto.

See, Parrish can't seem to find a H'wood chica willing to put up with him long enough to establish some straight cred.

Which means people are starting to talk. And not just in T-town (where Parr's pals have been whispering about his dude-on-dude sextivities since forever)—we're talking popcorn munchin', movie-ticket buying audiences, too.

And Parrish is freaked out, no matter how much PR his peeps put out to cover his homolicious tracks.

So why can't Parrish land a babe willing to stick by his side?

Well, he's a monster. He's got a horrible diva ‘tude that rivals the worst of the worst T-town be-yotches. And word is spreading through the B.A.H. (that'd be the Beard Association of Hollywood) not to link up with him—which is why you'll see him out and about with a bevy of ladies but nothing ever sticks.

Funnily enough, Parrish used to be a real sweetie (back when we had a long-term cutie boyfriend attached at the hip). But that's what happens when you let your head get out of control—and we ain't talking about the one on his shoulders.

And It Ain't: Chris Hemsworth, Justin Timberlake, Joe Manganiello


  1. that Jacob wolf boy...? name?

  2. chris hemsworth is married. that's a weird "and it ain't" for a story revolving around someone that can't keep a beard.

  3. Maybe he should call Lava Girl.

  4. ok - my official guess, based off the and it ain'ts:

    ryan kwanten.... he's on True Blood with Joe, has similar looks to JT and is from Australia like chris.

    and yes, he's mainly tv but he does movies too.

  5. Talyor Lautner. That's the one for the previous Parrish blind.

  6. I remember this guy. yea i know this is favored as Taylor but I didn't buy it back then and I still dont. Something for me just isn't fitting.

    But I know I'm in the minority and I'm ok with that.

  7. Everything Ted does is all about gays, I'm sick of it.

  8. This is supposed to be Taylor Lautner....can't stand him myself..

  9. msgirl - i 100% agree, i almost said something about that myself. according to Ted EVERYONE is gay.

    ryan was previously elimiated by ted though so my guess isn't even valid. i just can't get on the taylor train 100% with this one. esp after this. i have a friend who works in production and worked on the second twilight movie and says he's just so super super nice.

    but i'm also starting to put Ted's blinds into the "way embellished and not always accurate" category too so.....

  10. Bnl - in this blind Ted specifies that the vicer used to be super nice. Not anymore.

-- Unrelated to this text: calculated crystals --
┌──
Entry 1:
# Nd2SeBr

Nd2SeBr after structural relaxation (PBE, the Alexandria database).

The structure belongs to space group Cm (No. 8); the cell edges are 6.929, 4.000 and 9.658 Å and the angles 90.00°, 90.02° and 90.00°. The asymmetric unit holds Nd at (0.000, 0.000, 0.000), Nd at (0.166, 0.500, 0.526), Se at (0.167, 0.500, 0.818) and Br at (0.499, 0.500, 0.309).

The calculated total energy comes out at -19.3 eV per formula unit. The raw formation energy comes out at -1.149 eV/atom. Its relative energy among the computed polymorphs is 310 meV per atom.

---

Entry 2:
# NdSe6Br12

NdSe6Br12 after structural relaxation (PBE, the Alexandria database).

The structure belongs to space group R-3 (No. 148, hexagonal axes); the cell edges are 11.1561, 11.1561 and 20.2833 Å and the angles 90.00°, 90.00° and 120.00°. The asymmetric unit holds Nd at (0.0000, 0.0000, 0.0000), Se at (0.0301, 0.8825, 0.6459), Br at (0.0363, 0.2214, 0.2477) and Br at (0.0697, 0.2435, 0.0813).

The calculated total energy comes out at -52.1 eV per formula unit. The raw formation energy comes out at -0.334 eV/atom.

---

Entry 3:
# Nd3SeBr3

Nd3SeBr3 after structural relaxation (PBE, the Alexandria database).

The structure belongs to space group I4_132 (No. 214); the cell edges are 11.931, 11.931 and 11.931 Å and the angles 90.00°, 90.00° and 90.00°. The asymmetric unit holds Nd at (0.114, 0.364, 0.125), Se at (0.125, 0.125, 0.125) and Br at (0.118, 0.132, 0.625).

The calculated total energy comes out at -34.0 eV per formula unit. The raw formation energy comes out at -1.603 eV/atom.

---

Entry 4:
# Nd2Se2Br

Nd2Se2Br after structural relaxation (PBE, the Alexandria database).

The structure belongs to space group C2/m (No. 12); the cell edges are 13.408, 5.894 and 8.573 Å and the angles 90.00°, 109.08° and 90.00°. The asymmetric unit holds Nd at (0.004, 0.000, 0.242), Nd at (0.162, 0.500, 0.075), Se at (0.004, 0.500, 0.249), Se at (0.169, 0.000, 0.085) and Br at (0.161, 0.000, 0.589).

The calculated total energy comes out at -27.3 eV per formula unit. The raw formation energy comes out at -1.832 eV/atom. Its relative energy among the computed polymorphs is 0 meV per atom.

---

Entry 5:
# Nd6Si2SeBr3

Nd6Si2SeBr3 after structural relaxation (PBE, the Alexandria database).

The structure belongs to space group C2/m (No. 12); the cell edges are 7.386, 12.796 and 7.705 Å and the angles 90.00°, 108.62° and 90.00°. The asymmetric unit holds Nd at (0.227, 0.000, 0.209), Nd at (0.241, 0.329, 0.209), Si at (0.000, 0.167, 0.000), Se at (0.000, 0.500, 0.000), Br at (0.000, 0.000, 0.500) and Br at (0.000, 0.332, 0.500).

The calculated total energy comes out at -62.9 eV per formula unit. The raw formation energy comes out at -1.249 eV/atom.

---

Entry 6:
# Nd8Si3Se4Br

Nd8Si3Se4Br after structural relaxation (PBE, the Alexandria database).
└──

    Based on this, I would say his last beard who dumped him would be that Phil Collins' daughter, who opened the movie with Taylor a week ago.

    Sorry, am cutting on coffee and it shows. Trying very hard to find words and names. That movie that was rated 3% on Rotten Tomatoes?? Where Taylor pretends to be TommyGirl?

What comes next are calculated crystals, not part of the text:
/*
Entry 1:
## SiSb2Br (PBE-GGA)

Data for crystalline SiSb2Br at its relaxed geometry.

a b c (Å): 5.165 5.165 5.165
angles (deg): 60.00 60.00 60.00
Fractional positions:
Si 0.000 0.000 0.000
Sb 0.500 0.500 0.500
Sb 0.750 0.750 0.750
Br 0.250 0.250 0.250

* uncorrected formation energy: 0.374 eV per atom
* excess energy over the best structure of this formula in the dataset: 276 meV/atom
* raw total energy: -13.85 eV/cell


Entry 2:
## Ga2FeBr2 (PBE-GGA)

Data for crystalline Ga2FeBr2 at its relaxed geometry.

a b c (Å): 6.740 6.740 5.683
angles (deg): 90.00 90.00 90.00
Fractional positions:
Ga 0.211 0.289 0.000
Ga 0.289 0.789 0.000
Ga 0.711 0.211 0.000
Ga 0.789 0.711 0.000
Fe 0.000 0.000 0.500
Fe 0.500 0.500 0.500
Br 0.179 0.679 0.500
Br 0.321 0.179 0.500
Br 0.679 0.821 0.500
Br 0.821 0.321 0.500

* uncorrected formation energy: 0.170 eV per atom
* excess energy over the best structure of this formula in the dataset: 0 meV/atom
* raw total energy: -34.03 eV/cell


Entry 3:
## PrTmAlSn (PBE-GGA)

Data for crystalline PrTmAlSn at its relaxed geometry.

a b c (Å): 5.309 5.309 5.309
angles (deg): 60.00 60.00 60.00
Fractional positions:
Pr 0.000 0.000 0.000
Tm 0.500 0.500 0.500
Al 0.250 0.250 0.250
Sn 0.750 0.750 0.750

* E_form: -39.79 kJ per mole of atoms
* raw total energy: -18.65 eV/cell


Entry 4:
## YInCu2 (PBE-GGA)

Data for crystalline YInCu2 at its relaxed geometry.

a b c (Å): 5.309 5.309 5.309
angles (deg): 138.85 126.13 69.96
Fractional positions:
Y 0.000 0.000 0.000
In 0.717 0.217 0.500
Cu 0.271 0.771 0.500
Cu 0.469 0.469 0.000

* E_form: -9.72 kJ per mole of atoms
* raw total energy: -17.80 eV/cell


Entry 5:
## KHgBiS3 (PBE-GGA)

Data for crystalline KHgBiS3 at its relaxed geometry.

a b c (Å): 9.035 4.180 9.825
angles (deg): 90.00 100.00 90.00
Fractional positions:
K 0.169 0.250 0.218
K 0.831 0.750 0.782
Hg 0.118 0.250 0.606
Hg 0.882 0.750 0.394
Bi 0.352 0.750 0.867
Bi 0.648 0.250 0.133
S 0.143 0.250 0.872
S 0.198 0.750 0.488
S 0.421 0.750 0.133
S 0.579 0.250 0.867
S 0.802 0.250 0.512
S 0.857 0.750 0.128

* uncorrected formation energy: -0.536 eV per atom
* raw total energy: -41.76 eV/cell


Entry 6:
## TbNd6Tm12 (PBE-GGA)

Data for crystalline TbNd6Tm12 at its relaxed geometry.

a b c (Å): 8.612 8.612 8.612
angles (deg): 79.67 79.67 79.67
Fractional positions:
Tb 0.000 0.000 0.000
Nd 0.165 0.767 0.767
Nd 0.233 0.233 0.835
Nd 0.233 0.835 0.233
Nd 0.767 0.165 0.767
Nd 0.767 0.767 0.165
Nd 0.835 0.233 0.233
Tm 0.138 0.138 0.483
Tm 0.138 0.483 0.138
Tm 0.196 0.514 0.514
Tm 0.483 0.138 0.138
Tm 0.486 0.486 0.804
Tm 0.486 0.804 0.486
Tm 0.514 0.196 0.514
Tm 0.514 0.514 0.196
Tm 0.517 0.862 0.862
Tm 0.804 0.486 0.486
Tm 0.862 0.517 0.862
Tm 0.862 0.862 0.517

* E_form: 12.07 kJ per mole of atoms
* excess energy over the best structure of this formula in the dataset: 0 meV/atom
* raw total energy: -84.52 eV/cell


Entry 7:
## Mg2PtN2 (PBE-GGA)

Data for crystalline Mg2PtN2 at its relaxed geometry.

a b c (Å): 7.223 7.223 7.223
*/
Here the text continues:

  11. i get that. i comprehend the blind. but i'm sorry i just don't buy it. not from anything i've ever heard that went on on that set. not just being nice. just in general which is all i feel comfortable saying about that.

    part of me thinks its meant to be taylor, i just think ted is making up some details to extend his stories. i think he fabricates and people are gullible enough to take it verbatim. i also think he's doing a piss poor job as a gossip reporter if he has to run blinds on the same person over and over and over, even after ppl supposedly got it right. i think i'm just so over Ted's blinds. poorly worded and poorly executed.

  12. All blinds are part lie. They're just fun to solve, and sometimes, to get an inkling on what is going in crazy town.

  13. I'm on the Taylor Lautner train.

  14. I think this is Brad Cooper.

  15. Definitely Lautner. And boring, Ted.

  16. I like Bradley Cooper for this. Think about the insane amount of women that have been photographed with him since he broke up with Renee? A whole bunch.

  17. I'm this is supposed to be Taylor. I'm not saying it isnt true, but according to Ted every attractive male actor in Hollywood is gay or bi.

  18. If the choices are between Bradley Cooper and Taylor Lautner, I say Bradley, just because there's reference to a "boyfriend of many years." Taylor's way young to have that.

  19. Feisty - Taylor Lautner was dating a big time Hollywood producer, driving his toy cars around town, attending with him those swingers parties. Supposedly :)

  20. But what about Taylors controlling daddy?

  21. He is controlling on the business front only. Supposedly, he let's his son have his fun, but insists on being present during filming, and negotiating deals instead of the hired agents.

  22. Joe M. is a werewolf in True Blood and Taylor L. plays a werewolf in the movies which I shall not name.

  23. Ted keeps implying that my future boyfriend Alec Baldwin is gay. If there was any truth to that, Kim Basinger would have outed him long ago.

  24. I think it's Bradley Cooper. He has gone through his list of Oscar winning actresses.

- - -
1.
The following is a GGA-PBE calculation of a geometry-optimized KCa2Mg structure, from the Alexandria database.

a = 3.9890 Å, b = 3.9890 Å, c = 37.2360 Å
α = 90.00°, β = 90.00°, γ = 120.00°
Space group R-3m (No. 166, hexagonal axes)
Asymmetric unit:
1 K 0.0000 0.0000 0.0000
2 Ca 0.0000 0.0000 0.2343
3 Mg 0.0000 0.0000 0.5000

Properties
**Formation enthalpy at 0 K**: 0.117 eV/atom
**DOS at the Fermi energy**: 3.809 states/eV/f.u.
**Total moment**: 0.0 μB/cell
**Energy**: -1.557 eV/atom

2.
The following is a GGA-PBE calculation of a geometry-optimized KPm4Rh3O12 structure, from the Alexandria database.

a = 8.467 Å, b = 8.467 Å, c = 8.467 Å
α = 90.00°, β = 90.00°, γ = 90.00°
Space group Im-3 (No. 204)
Asymmetric unit:
1 K 0.000 0.000 0.000
2 Pm 0.250 0.250 0.250
3 Rh 0.000 0.000 0.500
4 O 0.000 0.329 0.157

Properties
**Formation energy (no corrections)**: -1.944 eV/atom
**DOS at the Fermi energy**: 9.548 states/eV/f.u.
**Total moment**: 16.2 μB/cell
**Energy**: -7.026 eV/atom

3.
The following is a GGA-PBE calculation of a geometry-optimized Sm3Er5Sb8 structure, from the Alexandria database.

a = 8.7987 Å, b = 8.7987 Å, c = 21.5375 Å
α = 90.00°, β = 90.00°, γ = 120.00°
Space group R-3m (No. 166, hexagonal axes)
Asymmetric unit:
1 Sm 0.0000 0.5000 0.0000
2 Er 0.0000 0.0000 0.0000
3 Er 0.0000 0.0000 0.5000
4 Er 0.0000 0.5000 0.5000
5 Sb 0.0000 0.0000 0.2474
6 Sb 0.0035 0.5018 0.7518

Properties
**Formation energy (no corrections)**: -1.121 eV/atom
**DOS at the Fermi energy**: 2.616 states/eV/f.u.
**Total moment**: 0.0 μB/cell
**Energy**: -5.493 eV/atom

4.
The following is a GGA-PBE calculation of a geometry-optimized Er2TmGa structure, from the Alexandria database.

a = 4.673 Å, b = 4.673 Å, c = 4.666 Å
α = 90.00°, β = 90.00°, γ = 90.00°
Space group P4/mmm (No. 123)
Asymmetric unit:
1 Er 0.000 0.500 0.000
2 Tm 0.000 0.000 0.500
3 Ga 0.500 0.500 0.500

Properties
**Formation enthalpy at 0 K**: -0.242 eV/atom
- - -

    Ted C. does say everyone is gay or at least bi.

  25. Not only is everyone gtay or bi but as previously mentioned Ted's writing is nearly impossible to follow. Meh!

    And just for good measure, Bradley Cooper.

  26. Could it be Michael C Hall? Three failed relationships, two of them marriages?

  27. Definitely Cooper. Look how desperately he's been shown on countless dates in just the past couple of weeks. One site called him "notorious ladies' man" and I had to laugh.

  28. Bnl1016 - I like your detective skills.

    With Ted, it could be anyone.

  29. OK, First time posting here but I just have to... First off, Parrish McGuire was mentioned about 7 or 8 years ago by Ted C. so I highly doubt he was referring to Taylor Lautner who was about 11 or 12 at the time. Ryan Kwaten -- sounds like a better choice-but again did he have a solid enough career 7 years ago to be mentioned as McGuire? I think a better guess is Ted C. is full of it - he creates a character out of thin air and hopes we guess the hottie of the moment.

  30. it isn't bradley cooper. i have seen him out several times and he isn't gay...
